Saturday, May 12, 2012

## Inserted here: records of molecules
~~~
1.
A single C6H4F3I molecule, computed with ωB97M-V with the def2-TZVPD basis set.

Its frontier orbital gap is 0.31681 Eh. For the HOMO energy, the calculation gives -9.70 eV. The value obtained for the energy relative to the best compared isomer or geometry (same formula, charge and spin) is 0.00 kcal per mole. The LUMO energy comes out at -1.08 eV.

Atoms and positions in Å:
C -0.601 0.832 0.253
C 0.591 0.222 -0.345
C -1.849 0.802 -0.304
C -2.005 -0.266 -1.323
C 1.004 -1.170 0.230
C 1.789 0.053 0.449
F -2.959 1.352 0.352
F -3.239 -0.765 -1.166
F 0.210 -1.634 1.320
I 3.765 0.177 -0.308
H -0.487 1.471 1.140
H 0.645 0.426 -1.426
H 1.366 -2.045 -0.311
H 1.769 0.547 1.437

---

2.
2 unconnected molecules or ions with the total composition C17H23NO9P, computed with ωB97M-V with the def2-TZVPD basis set.

Its frontier orbital gap (alpha / beta) is 0.15203 / 0.13932 Eh. The spin multiplicity is 2. For the HOMO energy (alpha / beta), the calculation gives -0.19 / -0.19 eV. The value obtained for the energy relative to the best compared isomer or geometry (same formula, charge and spin) is 0.00 kcal per mole. As for the net charge: -2. The LUMO energy (alpha / beta) comes out at 3.94 / 3.60 eV.

Atoms and positions in Å:
C -0.606 -3.487 3.249
C -0.212 -2.896 1.868
C 1.296 -3.150 1.731
C -0.548 -1.407 1.913
C -0.599 -0.672 0.577
C 0.767 -0.216 0.010
C 1.473 0.842 0.850
O 1.468 0.844 2.066
O 2.060 1.835 0.170
P -1.710 0.857 0.869
O -0.998 1.881 -0.179
O -1.346 1.319 2.415
C -1.419 -1.506 -0.407
C -1.094 -2.993 -0.486
C 0.146 -3.271 -1.367
C -2.279 -3.655 -1.203
N -0.999 -3.629 0.847
O -0.752 -4.879 0.795
H -1.230 -4.368 3.133
H 0.268 -3.777 3.821
H -1.176 -2.763 3.822
H 1.513 -4.197 1.906
H 1.765 -2.563 2.516
H 1.708 -2.791 0.797
H -1.551 -1.328 2.342
H 0.112 -0.923 2.621
H 1.493 -1.014 -0.144
H 0.572 0.205 -0.974
H 2.457 1.557 -0.665
H -1.075 2.815 0.086
H -0.907 2.176 2.445
H -1.361 -1.075 -1.404
H -2.462 -1.411 -0.099
H 0.702 -2.363 -1.575
H 0.822 -3.986 -0.913
H -0.168 -3.662 -2.329
H -2.039 -4.670 -1.499
H -3.157 -3.679 -0.563
H -2.514 -3.079 -2.094
C 1.357 6.684 -2.577
C 2.211 5.621 -2.896
C 1.751 4.232 -2.379
O 2.390 3.191 -2.649
C 0.586 4.182 -1.574
C -0.256 5.234 -1.231
C 0.140 6.611 -1.831
O -0.578 7.608 -1.656
O -1.271 5.146 -0.498
O 3.278 5.691 -3.543
H 1.614 7.684 -2.917
H 0.360 3.192 -1.196

---

3.
7 unconnected molecules or ions with the total composition C11H35N2O10, computed with ωB97M-V with the def2-TZVPD basis set.

Its frontier orbital gap is 0.34738 Eh. For the HOMO energy, the calculation gives -6.52 eV. As for the net charge: -1. The LUMO energy comes out at 2.93 eV.

Atoms and positions in Å:
N 9.455 13.621 -20.464
O 9.882 14.488 -19.665
O 8.363 13.058 -20.256
O 10.126 13.335 -21.483
C 6.345 14.489 -24.427
O 5.960 13.192 -24.088
C 7.084 12.331 -23.947
C 6.606 10.932 -23.617
N 5.464 10.853 -22.673
C 5.953 11.228 -21.328
C 4.903 11.002 -20.250
O 3.675 11.583 -20.668
C 2.646 11.350 -19.772
H 6.422 14.617 -25.521
~~~
a lot of things we can't do. "However wow power leveling a lot of things we can't do. "However - N

129810431520000000_109Tablets Office easily committed five errors A few days ago, the Wall Street Journal reported that more and more companies in the process of working with a tablet computer, can bring a lot of convenience, but also made a lot of mistakes in introducing – on how staff can take full advantage without doing any research on the Tablet Rift CD-key, underestimated the costs and challenges other tablets to the IT network. It is understood that the AirwaysHolding Group (AMR Corp) owned by United States airlines (American Airlines) was one of the first attempts to use the tablet. Therefore, valuable experience on how to give full play to the Tablet, where problems may occur on, it has deep experience. For example, the airlines have long understood the Tablet setUnable to meet all demands. Pilots can use high-end tablet computer instead of paper charts wow power leveling, and mechanic needs to be something more durable. Steward, compact and lightweight is crucial, while at the same time, airline for first class and business class passengers can use a Tablet PC you must play movies new movies, but also to avoid the risk of illegally ripped. Easy to commit five errorsReport analysis, summarized the five big mistakes committed by the companies and the lessons to be learned from them. Error 1: launched the Tablet without first planning. PWC kelisi·kelun, head of technical strategy and innovation of supervision (Chris Curran), "said some units did not take into account the consequences, just saying, ' we need a tablet. ’And then buy 20,000 units, distribution, waiting to report how they used these tablets. "He said that this was a waste of money, and can cause a lot of problems. Analysts suggested that the universal core staff to use on a small scale before Tablet PC, let them take a look at what are the strengths of tablets, which has yet to be improved. Policy issuesShould be dealt with in advance. For example, who used the device, and device management. Error 2: not sure where are the advantages and disadvantages of Tablet. Tablet cannot replace a laptop in one of many uses. Many traditional computer programs cannot run on the Tablet, sent from the computer to the mobile device file cannot be compatible. Stamford, Connecticut (StamforD) IT research and advisory company Gartner (Gartner Inc.) analyst Ken·dulani (Ken Dulaney) said, "If you send files from desktop computers to flat-panel device, no one can guarantee that everything in the file will be properly delivered to the end user. And install the application on a tablet device might displayNot shown in some data has been lost. "The Hyatt Hotel Group said SWTOR Credits, some flat-panel computer in the hotel staff using software like that, but sometimes there is no mouse or keyboard it could not be applied to all programs. In addition, most PC computer programs are designed for larger monitors, on the smaller screen of a smooth reading difficult. Error 3: all applications can easily beIt too. Despite the current iPad and Android software applications than other brands online store, but the quantity is limited. Tennessee Sparta (Sparta) kayak manufacturer Jackson Kayak in its 130 employees equipped with about half of the iPad. A while back, to meet the specific needs of the companies had a lot of troubleTo find the Tablet-specific application software, such as software product management. The company's Chief Marketing Officer zhanmushi·maikebeisi (James McBeath) said, "at the beginning of, a lot of things we can't do. "However, the Macbeath said the company was eventually found in the app store that they needed almost all of Tablet PC application software,One needs to be made is software that enables customers to understand their business. Error 4: flat are cheaper than laptops. Compared with laptop price, $ 500 Tablet seems to be very attractive. But it is worth noting that is, tablets updating more frequently than PC. Japan Ricoh (Ricoh Co.) subsidiary of Ricoh Americas Corporation (RicohAmericas Corp.) allow employees to bring their own tablet computers. The company has yet to give all staff the bulk purchase of tablets. The company is considering for the sales representative configuration a tablet, but in General dispensing shall wait until the whole company reached the level of PC Tablet functionality. Ricoh Americas Corporation Chief Information Officer Tracy XI·luotengboge(Tracey Rothenberger) said, "I don't want to spend $ 1000 to buy a laptop, and 800 dollars for a Tablet PC, I only want to spend $ 800 once solved the problem. "Error 5: tablet can easily support and security. In the course of using Tablet, to play its role in order to maximize, inEquipment loading large amounts of data is necessary, but also faced with how to protect data security. Employees when your tablet computer for private office, in case the device is stolen, the company's IT staff can remotely wipe clean hard drive do? Employee downloads a large number of programs, this is a nightmare for the company's network security, operating systems and applications at the company intends to riseLevel also cause compatibility problems. Companies need to recognize the Tablet PC is a new equipment, requires new approaches to management. Others:
